Contents.
-- begin --
Below is a relaxed structure of ScMn2Sb, with properties calculated at the PBE-GGA level.

Its magnetic moment is 5.88 μB per formula unit. The total energy comes out at -27.561 eV for the cell shown. As for the crystal system: trigonal. For the formation energy without anion corrections, the calculation gives 0.308 eV per atom.

CIF file:
```
data_ScMn2Sb
_chemical_formula_sum 'Sc1 Mn2 Sb1'
_cell_length_a 9.045
_cell_length_b 9.045
_cell_length_c 9.045
_cell_angle_alpha 20.06
_cell_angle_beta 20.06
_cell_angle_gamma 20.06
_space_group_name_H-M_alt 'P 1'
_space_group_IT_number 1
loop_
_space_group_symop_operation_xyz
'x,y,z'
loop_
_atom_site_label
_atom_site_type_symbol
_atom_site_fract_x
_atom_site_fract_y
_atom_site_fract_z
Mn1 Mn 0.501 0.501 0.501
Sb1 Sb 0.250 0.250 0.250
Sc1 Sc 0.750 0.750 0.750
Mn2 Mn 0.999 0.999 0.999
```



Below is a relaxed structure of ScMn2Sb, with properties calculated at the PBE-GGA level.

Its magnetic moment is 6.07 μB per formula unit. The total energy comes out at -29.154 eV for the cell shown. As for the crystal system: tetragonal. For the formation energy without anion corrections, the calculation gives -0.090 eV per atom.

CIF file:
```
data_ScMn2Sb
_chemical_formula_sum 'Sc1 Mn2 Sb1'
_cell_length_a 5.099
_cell_length_b 5.099
_cell_length_c 5.099
_cell_angle_alpha 132.62
_cell_angle_beta 132.61
_cell_angle_gamma 69.26
_space_group_name_H-M_alt 'P 1'
_space_group_IT_number 1
loop_
_space_group_symop_operation_xyz
'x,y,z'
loop_
_atom_site_label
_atom_site_type_symbol
_atom_site_fract_x
_atom_site_fract_y
_atom_site_fract_z
Sb1 Sb 0.750 0.250 0.500
Mn1 Mn 0.500 0.500 0.000
Sc1 Sc 0.250 0.750 0.500
Mn2 Mn 0.000 0.000 0.000
```



Below is a relaxed structure of ScMnSb, with properties calculated at the PBE-GGA level.

Its magnetic moment is 2.69 μB per formula unit. The total energy comes out at -20.354 eV for the cell shown. As for the crystal system: hexagonal. For the formation energy without anion corrections, the calculation gives -0.244 eV per atom.

CIF file:
```
data_ScMnSb
_chemical_formula_sum 'Sc1 Mn1 Sb1'
_cell_length_a 4.489
_cell_length_b 4.489
_cell_length_c 3.376
_cell_angle_alpha 90.00
_cell_angle_beta 90.00
_cell_angle_gamma 120.00
_space_group_name_H-M_alt 'P 1'
_space_group_IT_number 1
loop_
_space_group_symop_operation_xyz
'x,y,z'
loop_
_atom_site_label
_atom_site_type_symbol
_atom_site_fract_x
_atom_site_fract_y
_atom_site_fract_z
Sb1 Sb 0.667 0.333 0.167
Sc1 Sc 0.333 0.667 0.667
Mn1 Mn 0.000 0.000 0.166
```

=====

CuReSe2: optimized geometry, GGA-PBE.

Computed properties:
Crystal system: tetragonal
Energy above the most stable polymorph in this dataset (eV per atom): 0.205
Space-group type: P4/mmm, No. 123
Size of the total moment (μB per formula unit): 0.0
Formation energy without anion corrections (eV per atom): 0.384
V (Å³/cell): 64.4

Lattice parameters (Å, degrees): 3.1056 3.1056 6.6808 90.00 90.00 90.00
Last column: nearest neighbours and their distance in Å.
Sites, in units of the cell vectors:
Cu 0.0000 0.0000 0.0000  8 Se 2.82, 4 Cu 3.11
Re 0.0000 0.0000 0.5000  8 Se 2.70
Se 0.5000 0.5000 0.2659  4 Re 2.70, 4 Cu 2.82
Se 0.5000 0.5000 0.7341  4 Re 2.70, 4 Cu 2.82
-- stop --

What to do.
Please type out the rows further up from the first line to the one with "0.7341" word for word.

Here it is.
Below is a relaxed structure of ScMn2Sb, with properties calculated at the PBE-GGA level.

Its magnetic moment is 5.88 μB per formula unit. The total energy comes out at -27.561 eV for the cell shown. As for the crystal system: trigonal. For the formation energy without anion corrections, the calculation gives 0.308 eV per atom.

CIF file:
```
data_ScMn2Sb
_chemical_formula_sum 'Sc1 Mn2 Sb1'
_cell_length_a 9.045
_cell_length_b 9.045
_cell_length_c 9.045
_cell_angle_alpha 20.06
_cell_angle_beta 20.06
_cell_angle_gamma 20.06
_space_group_name_H-M_alt 'P 1'
_space_group_IT_number 1
loop_
_space_group_symop_operation_xyz
'x,y,z'
loop_
_atom_site_label
_atom_site_type_symbol
_atom_site_fract_x
_atom_site_fract_y
_atom_site_fract_z
Mn1 Mn 0.501 0.501 0.501
Sb1 Sb 0.250 0.250 0.250
Sc1 Sc 0.750 0.750 0.750
Mn2 Mn 0.999 0.999 0.999
```



Below is a relaxed structure of ScMn2Sb, with properties calculated at the PBE-GGA level.

Its magnetic moment is 6.07 μB per formula unit. The total energy comes out at -29.154 eV for the cell shown. As for the crystal system: tetragonal. For the formation energy without anion corrections, the calculation gives -0.090 eV per atom.

CIF file:
```
data_ScMn2Sb
_chemical_formula_sum 'Sc1 Mn2 Sb1'
_cell_length_a 5.099
_cell_length_b 5.099
_cell_length_c 5.099
_cell_angle_alpha 132.62
_cell_angle_beta 132.61
_cell_angle_gamma 69.26
_space_group_name_H-M_alt 'P 1'
_space_group_IT_number 1
loop_
_space_group_symop_operation_xyz
'x,y,z'
loop_
_atom_site_label
_atom_site_type_symbol
_atom_site_fract_x
_atom_site_fract_y
_atom_site_fract_z
Sb1 Sb 0.750 0.250 0.500
Mn1 Mn 0.500 0.500 0.000
Sc1 Sc 0.250 0.750 0.500
Mn2 Mn 0.000 0.000 0.000
```



Below is a relaxed structure of ScMnSb, with properties calculated at the PBE-GGA level.

Its magnetic moment is 2.69 μB per formula unit. The total energy comes out at -20.354 eV for the cell shown. As for the crystal system: hexagonal. For the formation energy without anion corrections, the calculation gives -0.244 eV per atom.

CIF file:
```
data_ScMnSb
_chemical_formula_sum 'Sc1 Mn1 Sb1'
_cell_length_a 4.489
_cell_length_b 4.489
_cell_length_c 3.376
_cell_angle_alpha 90.00
_cell_angle_beta 90.00
_cell_angle_gamma 120.00
_space_group_name_H-M_alt 'P 1'
_space_group_IT_number 1
loop_
_space_group_symop_operation_xyz
'x,y,z'
loop_
_atom_site_label
_atom_site_type_symbol
_atom_site_fract_x
_atom_site_fract_y
_atom_site_fract_z
Sb1 Sb 0.667 0.333 0.167
Sc1 Sc 0.333 0.667 0.667
Mn1 Mn 0.000 0.000 0.166
```

=====

CuReSe2: optimized geometry, GGA-PBE.

Computed properties:
Crystal system: tetragonal
Energy above the most stable polymorph in this dataset (eV per atom): 0.205
Space-group type: P4/mmm, No. 123
Size of the total moment (μB per formula unit): 0.0
Formation energy without anion corrections (eV per atom): 0.384
V (Å³/cell): 64.4

Lattice parameters (Å, degrees): 3.1056 3.1056 6.6808 90.00 90.00 90.00
Last column: nearest neighbours and their distance in Å.
Sites, in units of the cell vectors:
Cu 0.0000 0.0000 0.0000  8 Se 2.82, 4 Cu 3.11
Re 0.0000 0.0000 0.5000  8 Se 2.70
Se 0.5000 0.5000 0.2659  4 Re 2.70, 4 Cu 2.82
Se 0.5000 0.5000 0.7341  4 Re 2.70, 4 Cu 2.82